**Data**
********
# C12H29F2N2O5Y

A molecular structure, C12H29F2N2O5Y (ωB97M-V/def2-TZVPD, the Open Molecules 2025 dataset).

```
! RIJCOSX wB97M-V def2-TZVPD def2/J DEFGRID3
* xyz 1 2
C -2.06 1.33 -1.27
H 2.36 -1.75 4.44
O 0.32 -3.02 1.14
H -0.88 1.94 1.70
H 1.22 -3.37 3.03
O 1.90 -2.03 -1.03
H 0.95 -0.59 4.41
H 2.62 -0.20 3.80
H -0.20 -5.01 0.25
H -1.58 -1.14 -4.33
C 2.23 -0.94 -1.56
C 0.62 -2.65 2.47
O -0.40 4.06 0.14
H 2.34 -1.54 1.79
H -1.07 5.71 -0.96
H 0.49 -5.06 1.81
Y -0.38 -1.20 -0.23
C -0.38 5.48 -0.14
O -1.08 -0.54 -2.32
H -2.91 0.75 -0.92
H 0.11 -0.01 2.48
C 3.37 -0.96 -2.62
C 1.84 -0.95 3.90
H -2.57 0.59 -3.17
F -1.43 -3.03 -1.12
C -0.12 -4.42 1.16
H 1.31 0.49 1.81
H -1.76 4.16 1.64
H -2.49 3.88 0.08
H -0.27 -2.54 3.08
C -1.64 0.71 -2.62
H 2.96 -1.51 -3.46
H 4.36 -1.32 -2.33
H -0.54 6.13 0.71
H -1.00 1.41 -3.15
H -2.47 1.60 1.17
H -0.36 2.04 -0.67
N -1.03 1.38 -0.32
C -1.55 2.09 0.86
C -0.81 -1.23 -3.56
C 1.48 -1.40 2.44
H -1.13 -4.41 1.58
H 0.67 5.69 -0.35
O 1.54 0.08 -1.38
H -2.34 2.36 -1.50
H 3.45 0.02 -3.09
F -2.25 -1.32 1.17
C -1.62 3.65 0.69
H 0.09 -0.76 -3.96
H -0.64 -2.30 -3.44
N 0.73 -0.34 1.76
*
```

Summary:
<S²>: 0.7571
Gap between HOMO and LUMO (alpha / beta): 10.12 / 3.99 eV

***

# C40H38Ge2N4O6RuS

A molecular structure, C40H38Ge2N4O6RuS (ωB97M-V/def2-TZVPD, the Open Molecules 2025 dataset).

```
! RIJCOSX wB97M-V def2-TZVPD def2/J DEFGRID3
* xyz 0 1
O 1.91 -6.81 -1.25
N -0.05 0.00 -1.58
C -2.73 -2.06 -1.36
H -1.75 -1.91 5.92
H -3.72 -2.48 -1.54
C -0.24 -1.04 -3.72
C 2.64 3.76 -4.06
Ge -2.52 -1.88 0.58
H -1.51 3.40 1.52
C -1.74 -0.91 4.03
C -0.76 0.13 -4.25
C -4.32 2.52 -1.00
Ru 0.57 -0.35 0.36
C -2.60 1.80 0.56
H -0.69 -3.35 1.65
O 1.01 -6.10 -3.21
H -1.77 -4.31 0.64
C 0.65 -2.29 -1.72
C -2.31 3.14 0.83
C -3.02 4.15 0.20
H -4.87 -2.53 1.27
H 2.04 0.47 -3.46
O 3.09 -0.74 -1.58
S 3.38 0.52 -0.95
H -1.92 -1.83 3.47
C -1.58 0.30 3.35
C 1.82 -2.57 1.70
N 0.97 -2.08 -0.43
H -1.99 -2.76 -1.75
C 2.47 -3.37 2.63
H 3.79 5.03 -2.77
H -1.04 0.18 -5.29
H 2.14 -5.12 0.38
H -1.16 2.40 3.58
H 4.26 3.25 -1.11
H -1.30 0.15 7.21
C -4.02 3.85 -0.72
C 3.12 1.78 -2.16
H -4.24 -1.37 2.45
Ge -1.61 0.34 1.40
C -1.72 -3.49 1.37
C 1.42 -6.00 -2.05
N 2.25 0.77 0.16
H 2.94 2.71 0.66
H -1.32 2.17 -3.79
C 2.38 4.83 -5.09
C 1.72 -4.30 -0.18
H 2.78 5.79 -4.77
C 2.15 2.47 -4.24
C 0.81 -3.54 -2.27
H 2.85 4.57 -6.04
C 0.11 -1.08 -2.38
H 1.33 0.17 3.44
H -4.57 4.64 -1.20
H -0.62 1.96 -1.41
C -4.31 -1.60 1.39
H -5.10 2.28 -1.71
C -1.22 1.40 5.47
H 1.58 2.23 -5.14
C -1.38 0.19 6.13
C -0.54 1.13 -2.09
C 2.72 -2.87 3.90
H 2.77 -4.37 2.35
H 3.07 1.54 1.97
H -0.10 -1.92 -4.34
C -3.61 1.51 -0.36
N 1.42 -1.31 2.01
H -4.84 -0.80 0.89
C 2.45 1.84 1.11
H -2.78 5.18 0.41
H -3.85 0.48 -0.60
H 1.31 4.95 -5.27
C 3.39 4.04 -2.92
C 1.67 -0.84 3.23
C 2.39 1.48 -3.30
H -2.28 -3.79 2.26
C 1.33 -4.56 -1.49
C 1.09 2.32 1.63
O 0.09 1.55 1.22
C -0.92 1.23 -3.42
H 2.49 -1.15 5.18
C 3.64 3.05 -1.97
O 4.69 0.78 -0.39
C 2.31 -1.58 4.20
O 0.94 3.29 2.33
C -1.32 1.46 4.09
H 0.55 -3.81 -3.29
C 1.52 -3.03 0.33
C -1.63 -0.97 5.41
H -1.02 2.30 6.03
H -2.65 -1.12 -1.89
H 3.22 -3.48 4.63
*
```

Summary:
Energy above the lowest of the compared OMol25 structures with the same formula, charge and spin: 0.00 kJ/mol
Gap between HOMO and LUMO: 6.19 eV

***

# C7H14N2

2 unconnected molecules or ions with the total composition C7H14N2 (ωB97M-V/def2-TZVPD, the Open Molecules 2025 dataset).

```
! RIJCOSX wB97M-V def2-TZVPD def2/J DEFGRID3
* xyz 0 1
N 1.78 1.73 0.84
N 1.09 1.05 -1.24
H -1.51 1.44 -1.83
C 1.59 -1.34 1.76
H 2.54 -1.52 2.25
H -3.12 1.08 -1.22
H 0.64 -1.33 -0.13
H 1.77 1.68 -1.66
H -1.17 -1.93 0.67
C 1.52 -0.95 0.44
H -0.70 0.31 1.66
C -1.55 -0.05 -0.28
H 0.80 0.27 -1.80
C -1.48 -1.42 -0.23
H -1.11 1.82 0.70
C 1.20 0.86 0.11
H 0.71 -1.41 2.39
H 1.82 1.45 1.81
H -2.32 -0.06 -2.31
H -1.86 -2.04 -1.03
C -0.95 0.75 0.71
C -2.16 0.64 -1.48
H 2.46 -1.03 -0.11
*
```

Summary:
Energy above the lowest of the compared OMol25 structures with the same formula, charge and spin: 491.67 kJ/mol
********

**Job**
The reader should return everything earlier on character by character.

**Worked solution**
# C12H29F2N2O5Y

A molecular structure, C12H29F2N2O5Y (ωB97M-V/def2-TZVPD, the Open Molecules 2025 dataset).

```
! RIJCOSX wB97M-V def2-TZVPD def2/J DEFGRID3
* xyz 1 2
C -2.06 1.33 -1.27
H 2.36 -1.75 4.44
O 0.32 -3.02 1.14
H -0.88 1.94 1.70
H 1.22 -3.37 3.03
O 1.90 -2.03 -1.03
H 0.95 -0.59 4.41
H 2.62 -0.20 3.80
H -0.20 -5.01 0.25
H -1.58 -1.14 -4.33
C 2.23 -0.94 -1.56
C 0.62 -2.65 2.47
O -0.40 4.06 0.14
H 2.34 -1.54 1.79
H -1.07 5.71 -0.96
H 0.49 -5.06 1.81
Y -0.38 -1.20 -0.23
C -0.38 5.48 -0.14
O -1.08 -0.54 -2.32
H -2.91 0.75 -0.92
H 0.11 -0.01 2.48
C 3.37 -0.96 -2.62
C 1.84 -0.95 3.90
H -2.57 0.59 -3.17
F -1.43 -3.03 -1.12
C -0.12 -4.42 1.16
H 1.31 0.49 1.81
H -1.76 4.16 1.64
H -2.49 3.88 0.08
H -0.27 -2.54 3.08
C -1.64 0.71 -2.62
H 2.96 -1.51 -3.46
H 4.36 -1.32 -2.33
H -0.54 6.13 0.71
H -1.00 1.41 -3.15
H -2.47 1.60 1.17
H -0.36 2.04 -0.67
N -1.03 1.38 -0.32
C -1.55 2.09 0.86
C -0.81 -1.23 -3.56
C 1.48 -1.40 2.44
H -1.13 -4.41 1.58
H 0.67 5.69 -0.35
O 1.54 0.08 -1.38
H -2.34 2.36 -1.50
H 3.45 0.02 -3.09
F -2.25 -1.32 1.17
C -1.62 3.65 0.69
H 0.09 -0.76 -3.96
H -0.64 -2.30 -3.44
N 0.73 -0.34 1.76
*
```

Summary:
<S²>: 0.7571
Gap between HOMO and LUMO (alpha / beta): 10.12 / 3.99 eV

***

# C40H38Ge2N4O6RuS

A molecular structure, C40H38Ge2N4O6RuS (ωB97M-V/def2-TZVPD, the Open Molecules 2025 dataset).

```
! RIJCOSX wB97M-V def2-TZVPD def2/J DEFGRID3
* xyz 0 1
O 1.91 -6.81 -1.25
N -0.05 0.00 -1.58
C -2.73 -2.06 -1.36
H -1.75 -1.91 5.92
H -3.72 -2.48 -1.54
C -0.24 -1.04 -3.72
C 2.64 3.76 -4.06
Ge -2.52 -1.88 0.58
H -1.51 3.40 1.52
C -1.74 -0.91 4.03
C -0.76 0.13 -4.25
C -4.32 2.52 -1.00
Ru 0.57 -0.35 0.36
C -2.60 1.80 0.56
H -0.69 -3.35 1.65
O 1.01 -6.10 -3.21
H -1.77 -4.31 0.64
C 0.65 -2.29 -1.72
C -2.31 3.14 0.83
C -3.02 4.15 0.20
H -4.87 -2.53 1.27
H 2.04 0.47 -3.46
O 3.09 -0.74 -1.58
S 3.38 0.52 -0.95
H -1.92 -1.83 3.47
C -1.58 0.30 3.35
C 1.82 -2.57 1.70
N 0.97 -2.08 -0.43
H -1.99 -2.76 -1.75
C 2.47 -3.37 2.63
H 3.79 5.03 -2.77
H -1.04 0.18 -5.29
H 2.14 -5.12 0.38
H -1.16 2.40 3.58
H 4.26 3.25 -1.11
H -1.30 0.15 7.21
C -4.02 3.85 -0.72
C 3.12 1.78 -2.16
H -4.24 -1.37 2.45
Ge -1.61 0.34 1.40
C -1.72 -3.49 1.37
C 1.42 -6.00 -2.05
N 2.25 0.77 0.16
H 2.94 2.71 0.66
H -1.32 2.17 -3.79
C 2.38 4.83 -5.09
C 1.72 -4.30 -0.18
H 2.78 5.79 -4.77
C 2.15 2.47 -4.24
C 0.81 -3.54 -2.27
H 2.85 4.57 -6.04
C 0.11 -1.08 -2.38
H 1.33 0.17 3.44
H -4.57 4.64 -1.20
H -0.62 1.96 -1.41
C -4.31 -1.60 1.39
H -5.10 2.28 -1.71
C -1.22 1.40 5.47
H 1.58 2.23 -5.14
C -1.38 0.19 6.13
C -0.54 1.13 -2.09
C 2.72 -2.87 3.90
H 2.77 -4.37 2.35
H 3.07 1.54 1.97
H -0.10 -1.92 -4.34
C -3.61 1.51 -0.36
N 1.42 -1.31 2.01
H -4.84 -0.80 0.89
C 2.45 1.84 1.11
H -2.78 5.18 0.41
H -3.85 0.48 -0.60
H 1.31 4.95 -5.27
C 3.39 4.04 -2.92
C 1.67 -0.84 3.23
C 2.39 1.48 -3.30
H -2.28 -3.79 2.26
C 1.33 -4.56 -1.49
C 1.09 2.32 1.63
O 0.09 1.55 1.22
C -0.92 1.23 -3.42
H 2.49 -1.15 5.18
C 3.64 3.05 -1.97
O 4.69 0.78 -0.39
C 2.31 -1.58 4.20
O 0.94 3.29 2.33
C -1.32 1.46 4.09
H 0.55 -3.81 -3.29
C 1.52 -3.03 0.33
C -1.63 -0.97 5.41
H -1.02 2.30 6.03
H -2.65 -1.12 -1.89
H 3.22 -3.48 4.63
*
```

Summary:
Energy above the lowest of the compared OMol25 structures with the same formula, charge and spin: 0.00 kJ/mol
Gap between HOMO and LUMO: 6.19 eV

***

# C7H14N2

2 unconnected molecules or ions with the total composition C7H14N2 (ωB97M-V/def2-TZVPD, the Open Molecules 2025 dataset).

```
! RIJCOSX wB97M-V def2-TZVPD def2/J DEFGRID3
* xyz 0 1
N 1.78 1.73 0.84
N 1.09 1.05 -1.24
H -1.51 1.44 -1.83
C 1.59 -1.34 1.76
H 2.54 -1.52 2.25
H -3.12 1.08 -1.22
H 0.64 -1.33 -0.13
H 1.77 1.68 -1.66
H -1.17 -1.93 0.67
C 1.52 -0.95 0.44
H -0.70 0.31 1.66
C -1.55 -0.05 -0.28
H 0.80 0.27 -1.80
C -1.48 -1.42 -0.23
H -1.11 1.82 0.70
C 1.20 0.86 0.11
H 0.71 -1.41 2.39
H 1.82 1.45 1.81
H -2.32 -0.06 -2.31
H -1.86 -2.04 -1.03
C -0.95 0.75 0.71
C -2.16 0.64 -1.48
H 2.46 -1.03 -0.11
*
```

Summary:
Energy above the lowest of the compared OMol25 structures with the same formula, charge and spin: 491.67 kJ/mol